<<<
(1)
Below is a relaxed Li4FeCo3O8 crystal, with properties calculated at the PBE with a Hubbard U level.

**Total magnetic moment**: 1.061 μB/atom

a b c (Å): 5.8652 5.8652 5.8652
angles (deg): 59.08 59.08 59.08
Last column: nearest neighbours and their distance in Å.
Fractional positions:
Li1 0.0000 0.0000 0.5000  6 O 2.12-2.13
Li2 0.5000 0.5000 0.5000  6 O 2.15
Li3 0.0000 0.5000 0.0000  6 O 2.12-2.13
Li4 0.5000 0.0000 0.0000  6 O 2.12-2.13
Co1 0.0000 0.5000 0.5000  6 O 1.99-2.00
Co2 0.5000 0.0000 0.5000  6 O 1.99-2.00
Co3 0.5000 0.5000 0.0000  6 O 1.99-2.00
O1 0.2575 0.2575 0.2575  3 Co 2.00, 3 Li 2.12
O2 0.2391 0.7442 0.2391  1 Fe 1.97, 2 Co 1.99, 3 Li 2.13-2.15
O3 0.7609 0.2558 0.7609  1 Fe 1.97, 2 Co 1.99, 3 Li 2.13-2.15
O4 0.7425 0.7425 0.7425  3 Co 2.00, 3 Li 2.12
O5 0.2558 0.7609 0.7609  1 Fe 1.97, 2 Co 1.99, 3 Li 2.13-2.15
O6 0.7442 0.2391 0.2391  1 Fe 1.97, 2 Co 1.99, 3 Li 2.13-2.15
O7 0.2391 0.2391 0.7442  1 Fe 1.97, 2 Co 1.99, 3 Li 2.13-2.15
O8 0.7609 0.7609 0.2558  1 Fe 1.97, 2 Co 1.99, 3 Li 2.13-2.15
Fe1 0.0000 0.0000 0.0000  6 O 1.97

***

(2)
Below is a relaxed Li4FeCo3O8 crystal, with properties calculated at the PBE with a Hubbard U level.

a b c (Å): 5.0798 5.5403 6.4068
angles (deg): 89.73 89.97 89.68
Last column: nearest neighbours and their distance in Å.
Fractional positions:
Fe1 0.4978 0.9218 0.8742  4 O 1.90-1.91
Li1 0.4954 0.4174 0.1251  4 O 1.99-2.04
Li2 0.9972 0.0826 0.6235  4 O 2.00-2.02
Li3 0.9964 0.5814 0.8753  4 O 2.00-2.01
Li4 0.4960 0.9180 0.3753  4 O 1.97-2.02
O1 0.3677 0.5765 0.3859  2 Co 1.88, 2 Li 2.00
O2 0.8934 0.9038 0.3636  2 Co 1.87, 2 Li 2.01-2.02
O3 0.8664 0.4246 0.6130  2 Co 1.87-1.89, 2 Li 2.01
O4 0.8964 0.4046 0.1370  2 Co 1.87-1.88, 2 Li 2.00-2.04
O5 0.3706 0.0767 0.1186  1 Co 1.89, 1 Fe 1.90, 2 Li 1.97-1.99
O6 0.3935 0.0953 0.6294  1 Co 1.87, 1 Fe 1.91, 2 Li 1.97-2.02
O7 0.8741 0.9265 0.8882  1 Co 1.88, 1 Fe 1.91, 2 Li 2.00-2.01
O8 0.3905 0.5919 0.8613  1 Co 1.86, 1 Fe 1.91, 2 Li 2.01
Co1 0.9972 0.5792 0.3747  4 O 1.87-1.88
Co2 0.9997 0.0811 0.1288  4 O 1.87-1.89
Co3 0.4943 0.4185 0.6262  4 O 1.86-1.89

***

The data favor (2); the next most stable structure lies 26 meV per atom above it.

=====

Entry 1:
Eu3Cr | the Materials Project database | PBE | optimized geometry; total magnetic moment = 6.644 μB per atom; polymorph energy (0 for the lowest one) = 0.07 eV/f.u.
1.0
5.206 0.000 0.000
0.000 5.206 0.000
0.000 0.000 5.206
Eu Cr
3 1
Direct
0.000 0.000 0.500
0.000 0.500 0.000
0.500 0.000 0.000
0.500 0.500 0.500

***

Entry 2:
K2NbCl3 | the Materials Project database | PBE | optimized geometry; total magnetic moment = 0.541 μB per atom
1.0
7.331 0.000 0.000
1.001 7.488 0.000
1.591 -0.058 41.145
K Nb Cl
20 10 30
Direct
0.000 0.000 0.000
0.001 0.115 0.223
0.008 0.518 0.634
0.040 0.660 0.850
0.047 0.082 0.112
0.141 0.525 0.533
0.252 0.556 0.436
0.315 0.045 0.837
0.317 0.551 0.330
0.370 0.114 0.931
0.402 0.560 0.234
0.500 0.066 0.730
0.592 0.643 0.124
0.634 0.075 0.627
0.684 0.045 0.523
0.693 0.611 0.035
0.767 0.644 0.937
0.880 0.062 0.424
0.904 0.566 0.740
0.965 0.077 0.328
0.137 0.019 0.591
0.247 0.374 0.034
0.395 0.053 0.406
0.434 0.101 0.037
0.492 0.588 0.677
0.522 0.070 0.182
0.579 0.550 0.832
0.722 0.536 0.467
0.855 0.563 0.283
0.875 0.027 0.792
0.034 0.926 0.913
0.049 0.482 0.986
0.078 0.798 0.273
0.157 0.316 0.279
0.171 0.296 0.381
0.190 0.838 0.381
0.281 0.425 0.712
0.312 0.850 0.068
0.314 0.838 0.178
0.324 0.783 0.632
0.372 0.229 0.575
0.379 0.367 0.169
0.447 0.720 0.494
0.460 0.334 0.081
0.483 0.879 0.987
0.484 0.328 0.873
0.541 0.334 0.995
0.560 0.779 0.877
0.645 0.798 0.791
0.674 0.324 0.787
0.726 0.441 0.333
0.743 0.325 0.687
0.743 0.794 0.680
0.777 0.956 0.064
0.830 0.534 0.222
0.892 0.271 0.575
0.898 0.804 0.581
0.931 0.773 0.478
0.985 0.434 0.078
0.995 0.302 0.475

***

Entry 3:
VASP calculation (PBE) on SiO2 after structural relaxation.

Geometry as POSCAR:
```
SiO2
1.0
4.491 -2.461 0.000
4.491 2.461 0.000
-3.386 0.000 8.121
Si O
4 8
Direct
0.049 0.326 0.313
>>>
It remains to say how many lines of the calculation results further above hold the word "Below", as a bare number.
2